Disclaimer: Totally forgot to mention I don't own anything but Apollo and the plot haha!

A/N: Every one of you has been to wonderful! Thank you for sticking with this fic, you guys are absolutely amazing!

Dedicated to: EVERY ONE OF YOU! And this entire story to Simone Kessell and Stephen Lang. I know they'll never read it, but it's for them because this fandom, this story- WE- wouldn't exist without their characters and their amazing ability to allow us to see between the lines and conjure incredible pieces of literature.

I give many, many thanks to my beta Sapphos-Daughter for putting up with me. She's been very patient with my TN kick and I thank her for that and betaing this last installment.

Enjoy from Taylor's POV :D!

The sky was dark but life in Terra Nova was busy as ever. It was Terra Day. A celebration Skye had come up with a couple months ago. Taylor was finally able to sit down and think of a day that would be appropriate for it. He ended up choosing the day before his second's birthday.

When Wash realized, she raised a brow and planted a hand on her hip. "Afraid you'll forget without a reminder?"

"Have I forgotten before?" he asked, a sly grin playing at his lips. They'd been together for a couple months now and, of course, had their ups and downs but for the most part, their bond- the already unbreakable bond- grew stronger each day. Their love for the other shinning almost impossibly.

Now he watched from the porch of the command canter as the celebrations took place. The day had been busy, each of civilians pitching in to make this night as perfect as the Harvest Festival. He scanned the crowd, watching them dance and mingle. Apollo was occupied with the youngest Shannon daughter and her friends. And then he spotted his object of desire. She was off to the side with Jim and Elisabeth. Jim had said something that made her laugh and punch him playfully in the arm. Her hair was down, curling ever so subtly around her face. It made her look all the more beautiful.

Taylor smiled to himself and just watched. His grinned widened as he saw a few men from the colony ask her to dance and she politely decline each offer. And then Sam Marcos walked up to her.

He tugged on her pant leg with Leah not far behind; their foster mother smiling encouragingly at Sam. Wash looked down. He could see her confusion when she saw it was Sam but leaned down to him anyways.

With a shy smile on his face, he asked her a question. Wash smiled, took his hand and led him to the dance floor. The sly little kid actually got her to dance with him. Taylor supposed it helped to be outrageously adorable. Nathaniel leaned on the railing and observed with a fond expression on his face as Wash twirled Sam and pulled him back into a tight hug. She let loose, allowed herself to relax and laugh her stresses away. This night was good for her. It was good for him.

Nathaniel felt a pair of eyes on him and he searched the crowd once more before his gaze settled on Jim. The man waved and jerked his thumb towards Alicia. The sight of his dear friend dancing with a little boy clearly amusing him beyond all comprehension.

Taylor held up a hand, a smile on his own face, showing that he knew what his girlfriend was up to. And then he paused and rolled over the title over in his head. Girlfriend. Because they were more than lovers, but they weren't married. That made her his…girlfriend. It sounded nice. Young.

He liked it. Associating 'girlfriend' and Wash in the same sentence was both odd and gratifying. She was his. And in return, he was hers. Perhaps, he thought, if he held onto her tight, she wouldn't ever be taken from him. Maybe- if he was there all the time- her life wouldn't ever be compromised.

Nathaniel sighed and shook his head. She wouldn't allow it. They were soldiers, not lovesick idiots. And yet he felt like one. Because the thought of her not being here with him, to share this incredible world… well… that tore his heart anew. And as he watched her, happy and alive with Sam Marcos, the love he felt for her spread through out his chest. Despite his worry, he knew she would be all right. He had to believe that or he'd drown in anxiety every time she went OTG. Alicia Washington, one of the few soldiers to come back from Somalia with him alive, had captured his heart. He knew that on some levels, she always had it.

An hour went by of him watching and observing her with Sam. She was brilliant with him. Affectionate and yet stern when he got too silly. She'd put her hands on her hips and tell him to be a serious dancer or she wouldn't dance with him anymore. At least that's what he got from her expression and the bit of words he was able to read from her lips. Sam immediately stood at attention- his expression serious- not wanting to lose his dance partner.

He saw it take Alicia a lot not break out into a grin. The exchange between Sam and his Alicia warmed him enough that he went down the stairs and crossed to the middle of the crowd.

"You're tired already?" he heard her say to Sam.

"Yes!" the little boy giggled. Alicia picked him up under his arms and slung him sideways over her hip.

"Then I guess it's time for bed. Where's your house, Mr. Marcos? I'll tuck you in."

"No not bed!" the boy giggled impossibly and squirmed.

"But you're tired." She mimicked his whine and caught the eye of her commander. She cleared her throat and grinned when he raised a brow at her and her Wash-handling of the boy.

"Tired of dancing! I don't want to go to bed yet, Alicia!"

"Alicia? I don't know any Alicia." she feigned dumb and frowned. "Who's Alicia?"

"You are!" he righted himself up so he could look at her face and giggled at her expression. "Lieutenant Alicia."

"Ah. That is me, isn't it?"

Sam's giggle managed to bring a smile of delight to Taylor's face. "Evening Sam. Is the lieutenant being mean?"

Sam looked at Wash, gauging her reaction. She raised a brow at him and slyly, he said "No."

Wash righted him so he was resting on her hip. "No bed then?"

"No." his grin was positively contagious.

"All right. I'll give you back to your mom."

"If you don't mind, Mr. Sam, I'd like to have a dance with your partner here. Would you mind terribly?"

Sam's smile widened before he hid his face behind his hands and giggled. "Don't say that."

Wash chuckled and walked in the direction of Leah and their mother. "I'll be back."

Taylor nodded, exchanging greetings with the people around him. They still hadn't gone public with their relationship. Taylor planned on changing that tonight.

Nathaniel turned around when soft fingers trailed from one shoulder to the other. He was met with the devious eyes of Erica Forbes. She was drunk and if he wasn't mistaken by her eyes openly trailing down his body, experiencing a wave of desire for him.

"Ms. Forbes-" he was silenced by her lips on his. Had he been faster, maybe he would have been able to stop her before it happened. Perhaps, even, he'd have been able to prevent Wash from tearing the woman away from him.

"What the hell do you think you're doing?" Wash hissed to Erica.

"What's it look like? I'm getting my man." Alicia's eyebrows raised.

"Your man?" she asked. She was calm. Very calm. Nathaniel wouldn't lie, it kind of unnerved him. And then he knew why. Wash gripped him by the lapels of his jacket and pulled him into her. Her lips found his and he didn't resist. Not when he'd planned on doing this later anyways.

Alicia pulled away and moved to step away to further challenge the woman but Taylor held her fast. "No, no. None of that." without a sparing glance back to Erica, Taylor hauled Wash off her feet and carried her further into the crowd. He ignored a few chuckles and playful jabs from the civilians around them. He knew what he'd scored.

Alicia cursed him for taking her away from Forbes but he ignored it. He set her on her feet and gave her a stern look before holding out his arms. "Dance with me."

For half a second she looked as if she wanted to decline and continue her verbal fight with the woman on the other side of crowd. Until she stepped towards him and placed her hands on his bicep and chest.

"This is an interesting way to dance." he commented, settling his hands on her hips. Wash grinned up at him.

"Think of it as a looser way of dancing." Taylor chuckled, moving his feet in time with the slow beat. She moved as well, her hips and feet graceful as they danced together.

"I'd planned on that kiss for later." he said after a moment of silence. Alicia shrugged.

"It was either that or deck her out. I figured you'd appreciate the kiss a little more."

Taylor hummed, silently agreeing.

That night they danced until their feet felt worn through. No one else existed in the world but them. No one held his attention more than Alicia. If there were to be one person in this world that he could take anywhere with him, it'd be her. She was flawed and yet so perfect all at once. The combination was striking.

Taylor led Alicia to the command center for a rest. She leaned against the railing with her back to him and he slid up behind her, pressing his chest to her back and gripped the railing on either sides of her hands.

They wouldn't embrace, not here. Not with so many eyes on them; regardless of their relationship being out in the open now. It would take time to get out of the habit to keep it secret. But they could indulge in things like embracing without really embracing.

They stared at the people risking glances at them and grinned. "I think we've successfully blown their minds, Wash."

"I think you might be right, Commander." she returned. Alicia turned around to face him and placed her hands on his chest because she could. "I also think we're about to be teased. Mercilessly."

Nathaniel frowned, distracted for a moment by her lips. "Why's that?"

"Evening Commander, Wash." Jim Shannon sidled up to them with a protesting Elisabeth in tow.

"Jim! Now is not the time, they just came out in the open." Taylor raised a brow at the man in question, silently telling him to listen to his wife.

"Come now, Elisabeth, a little congratulations never hurt any one." he countered with a friendly smile.

Wash reached over and punched him in the arm. "Your 'thanks' will have a double meaning."

Records of crystals, kept here for reference.
- - -
Computed, not measured: Li5Fe2P2C2O14 after structural relaxation at the PBE with a Hubbard U level of DFT.

Results
Total magnetization   9.0 μB/f.u.
E above lowest polymorph   5 meV/atom
Corrected total energy (MP2020 scheme)   -365.6 eV per cell
Energy of formation   -2.31 eV/atom
E   -337.3 eV per cell

POSCAR file:
```
Li5Fe2P2C2O14
1.0
-0.009 -2.954 -5.790
-7.540 -5.019 2.573
-9.075 3.988 -2.020
O P C Li Fe
28 4 4 10 4
Direct
0.067 0.304 0.438 O
0.246 0.117 0.264 O
0.742 0.171 0.159 O
0.777 0.907 0.238 O
0.279 0.442 0.563 O
0.253 0.933 0.507 O
0.753 0.067 0.493 O
0.725 0.421 0.714 O
0.936 0.694 0.058 O
0.562 0.690 0.046 O
0.718 0.144 0.671 O
0.277 0.093 0.762 O
0.746 0.883 0.736 O
0.779 0.558 0.437 O
0.440 0.319 0.412 O
0.567 0.696 0.562 O
0.242 0.829 0.841 O
0.755 0.424 0.204 O
0.754 0.080 0.992 O
0.254 0.920 0.008 O
0.940 0.681 0.588 O
0.225 0.579 0.286 O
0.255 0.576 0.796 O
0.218 0.856 0.329 O
0.262 0.451 0.075 O
0.062 0.310 0.954 O
0.762 0.549 0.925 O
0.436 0.306 0.942 O
0.753 0.584 0.064 P
0.253 0.415 0.425 P
0.253 0.416 0.936 P
0.753 0.585 0.575 P
0.758 0.046 0.133 C
0.239 0.970 0.366 C
0.739 0.030 0.634 C
0.258 0.954 0.867 C
0.959 0.720 0.273 Li
0.487 0.270 0.240 Li
0.247 0.088 0.075 Li
0.747 0.912 0.925 Li
0.012 0.270 0.243 Li
0.987 0.730 0.760 Li
0.459 0.280 0.727 Li
0.245 0.106 0.559 Li
0.745 0.894 0.441 Li
0.512 0.730 0.757 Li
0.257 0.669 0.070 Fe
0.753 0.332 0.446 Fe
0.253 0.668 0.554 Fe
0.757 0.331 0.930 Fe
```

----------

Entry 1:
First-principles (GGA+U) data for Rb2NaCoF6 after structural relaxation, as listed in the Materials Project.

Calculated values
ρ: 4.02 Mg/m³
SG: Fm-3m (225)
total energy: -0.1644 hartree per atom

```
Rb2NaCoF6
1.0
0.000 4.233 4.233
4.233 0.000 4.233
4.233 4.233 0.000
Rb Na Co F
2 1 1 6
Direct
0.250 0.250 0.250
0.750 0.750 0.750
0.000 0.000 0.000
0.500 0.500 0.500
0.277 0.277 0.723
0.277 0.723 0.277
0.277 0.723 0.723
0.723 0.277 0.277
0.723 0.277 0.723
0.723 0.723 0.277
```

Entry 2:
First-principles (GGA+U) data for NaPrEuWO6 after structural relaxation, as listed in the Materials Project.

Calculated values
relative energy among the computed polymorphs: 0.0 meV/atom
ρ: 6.65 Mg/m³
SG: Pnnn (48)

```
NaPrEuWO6
1.0
8.392 0.000 0.000
0.000 8.403 0.000
0.000 0.000 8.433
Na Pr Eu W O
4 4 4 4 24
Direct
0.250 0.250 0.250
0.250 0.250 0.750
0.750 0.750 0.250
0.750 0.750 0.750
0.000 0.000 0.000
0.000 0.500 0.500
0.500 0.000 0.500
0.500 0.500 0.000
0.250 0.750 0.250
0.250 0.750 0.750
0.750 0.250 0.250
0.750 0.250 0.750
0.000 0.000 0.500
0.000 0.500 0.000
0.500 0.000 0.000
0.500 0.500 0.500
0.036 0.224 0.448
0.036 0.276 0.052
0.049 0.041 0.725
0.049 0.459 0.775
0.226 0.554 0.037
0.226 0.946 0.463
0.274 0.554 0.463
0.274 0.946 0.037
0.451 0.041 0.775
0.451 0.459 0.725
0.464 0.224 0.052
0.464 0.276 0.448
0.536 0.724 0.552
0.536 0.776 0.948
0.549 0.541 0.275
0.549 0.959 0.225
0.726 0.054 0.963
0.726 0.446 0.537
0.774 0.054 0.537
0.774 0.446 0.963
0.951 0.541 0.225
0.951 0.959 0.275
0.964 0.724 0.948
- - -

"Lieutenant, I have no idea what you're talking about." She glared at him as he rubbed his sore arm and Elisabeth sighed, giving up on trying to talk her husband out of getting his butt kicked by both the commander and his second. "So, congratulations." he said with amusement clear in his gaze. "Also, those are some lovely bruises on your neck there, Commander."

Taylor turned a deadly gaze onto him, while his wife and Wash took the liberty of punching him on either arm. "Ouch! You're supposed to be on my side!" he said to his wife. To which she promptly crossed her arms and gave him an incredulous look.

"What he means to say," Elisabeth started. "Is we're very happy for the both of you."

Taylor felt a grin spread. "Thanks, doc."

No. 1
Material: BaAl2Si2
Method: DFT, PBE
State: relaxed

**E (MP2020)**: -0.3176 Ry per atom

a b c (Å): 10.1412 4.2617 10.9442
angles (deg): 90.00 90.00 90.00
Closest atoms and distances in Å follow each position.
Space group Pnma (No. 62)
Inequivalent atoms, fractional coordinates:
Ba 0.2478 0.2500 0.1748 [4 per cell]  7 Si 3.29-3.62, 5 Al 3.39-3.68
Al 0.0416 0.2500 0.8813 [4 per cell]  4 Si 2.52-2.58
Al 0.1007 0.2500 0.4526 [4 per cell]  4 Si 2.56-2.58
Si 0.0240 0.7500 0.3440 [4 per cell]  4 Al 2.55-2.56
Si 0.1452 0.7500 0.9587 [4 per cell]  4 Al 2.52-2.58

***

No. 2
Material: Dy3Y
Method: DFT, PBE
State: relaxed

**Energy above the most stable polymorph in this dataset**: 0 meV/atom

a b c (Å): 7.2466 7.2466 5.6842
angles (deg): 90.00 90.00 120.00
Closest atoms and distances in Å follow each position.
Space group P6_3/mmc (No. 194)
Inequivalent atoms, fractional coordinates:
Dy 0.1662 0.3324 0.2500 [6 per cell]  8 Dy 3.53-3.63, 4 Y 3.53-3.62
Y 0.3333 0.6667 0.7500 [2 per cell]  12 Dy 3.53-3.62

***

No. 3
Material: CuH8C4O5
Method: DFT, PBE
State: relaxed

**E (MP2020)**: -0.4412 Ry per atom

a b c (Å): 13.3556 8.7322 13.9446
angles (deg): 90.00 116.55 90.00
Closest atoms and distances in Å follow each position.
Space group C2/c (No. 15)
Inequivalent atoms, fractional coordinates:
Cu 0.0494 0.0792 0.4571 [8 per cell]  4 O 1.96-2.04
H 0.0632 0.4934 0.9323 [8 per cell]  1 C 1.09
H 0.0800 0.3874 0.8301 [8 per cell]  1 C 1.10
H 0.1134 0.1596 0.2997 [8 per cell]  1 O 0.99
H 0.1524 0.3950 0.2096 [8 per cell]  1 C 1.09
H 0.1788 0.4106 0.6874 [8 per cell]  1 C 1.10
H 0.1875 0.2776 0.3884 [8 per cell]  1 O 0.98
H 0.1937 0.4035 0.9591 [8 per cell]  1 C 1.10
H 0.2422 0.4408 0.1486 [8 per cell]  1 C 1.10
C 0.0661 0.2477 0.9494 [8 per cell]  2 O 1.28
C 0.1021 0.3930 0.9158 [8 per cell]  3 H 1.09-1.10
C 0.1827 0.0179 0.6829 [8 per cell]  2 O 1.28
C 0.2157 0.4745 0.2096 [8 per cell]  3 H 1.09-1.10
O 0.0066 0.2612 0.9997 [8 per cell]  1 C 1.28
O 0.0979 0.1209 0.9257 [8 per cell]  1 C 1.28
O 0.0993 0.0600 0.1780 [8 per cell]  1 C 1.28
O 0.1216 0.2113 0.3658 [8 per cell]  2 H 0.98-0.99
O 0.1851 0.0879 0.6034 [8 per cell]  1 C 1.28

***

No. 4
Material: Na6Hf3MgGe2P4O24
Method: DFT, PBE
State: relaxed

**E (MP2020)**: -0.5605 Ry per atom

a b c (Å): 9.1661 9.1668 22.7039
angles (deg): 89.58 89.87 60.16
Closest atoms and distances in Å follow each position.
Space group P1 (No. 1)
Inequivalent atoms, fractional coordinates:
Na 0.0000 0.0000 0.0000 [1 per cell]  6 O 2.47-2.74
Na 0.9999 0.2893 0.5089 [1 per cell]  4 O 2.47-2.51
Na 0.0499 0.2900 0.1739 [1 per cell]  5 O 2.41-2.63
Na 0.2997 0.6885 0.1809 [1 per cell]  5 O 2.40-2.60
Na 0.3029 0.3073 0.6687 [1 per cell]  5 O 2.44-2.67
Na 0.3199 0.3523 0.3494 [1 per cell]  5 O 2.29-2.56
Na 0.3240 0.6070 0.8439 [1 per cell]  5 O 2.43-2.55
Na 0.3343 0.9771 0.5900 [1 per cell]  6 O 2.49-2.74
Na 0.3370 0.9801 0.0902 [1 per cell]  6 O 2.44-2.73
Na 0.3579 0.6350 0.5013 [1 per cell]  4 O 2.44-2.65

"You ready to go, honey? Zoe looks like she's going to pass out on Apollo." said Jim and all four pairs of eyes rested on Zoe. She and the growing dinosaur were leaned against one another. Exhaustion clear on the child's face.

Wash smiled fondly at the image. "If I had a camera…" she muttered fondly, a decidedly very un-Wash phrase, but then; when had she really been her usual self this night? "I'll get Apollo." she volunteered and Elisabeth went down with her to retrieve her daughter.

Jim and Taylor leaned on the railing, watching their respective mates from their place at the command center.

"All teasing aside, I'm happy for you."

Taylor gave him a side glance to gauge Jim's facial expression. After a moment he nodded. "Thanks." It felt different, but so right at the same time. He was with Ayani for years and after her death, he'd never even considered someone else. But Wash… she had been able to worm her way in and remain dormant in his heart until the right time. It pleased him; terrified him.

He watched Alicia converse with Elisabeth on their way back. If he hadn't known any better, he'd say they were gossiping. But this was Wash, she didn't indulge in such things. And yet the glint in her eyes and the small grin on her lips told him otherwise. Interesting.

When Alicia and Elisabeth came to the bottom of the stairs, they looked up at their men and cocked a hip to the side. It made Jim chuckle and Taylor grin. "Can we help you, ladies?" the younger man asked.

"It's time to go, unless you'd rather we sleep alone and find other means of keeping warm." Wash replied. Both men were down the stairs within moments.

They bid farewell to each other and started walking in opposite directions. Taylor took the dinosaur from Wash and tucked him under one arm while his other hand sought out and found Wash's. He linked their fingers together and felt a moment of sheer delight when she returned to squeeze.

Taylor leaned into her and pressed a kiss to her temple. "I love you." he watched her eyes light up at his words. Maybe one day he'd propose. Maybe one day she'd say yes. One day. He rolled it over in his head. Nathaniel liked the sound of that. Until that time came, he would love her and show his devotion in every way he knew. Of that, he vowed to himself.

With Apollo under his arm and Wash, almost twice his junior, he decided they were the oddest family he'd ever seen. But it was one that found his heart and clutched onto it. He loved her- and he loved the damn dinosaur.

"I love you too." she whispered back.

"Damn right you love me too." he nudged her playfully with his elbow.

Alicia chuckled and stopped him from moving to plant a kiss on his lips. "Don't push it, Taylor."

His grin turned absolutely feral. "Wouldn't dream of it."
